_Job_
Write out the part of the data further below that starts with the line with "90.00, 90.00" and stops after the one with "82.9".

_Contents_
=====
# CaRe3Br
Computed powder X-ray diffraction pattern, Cu Kα (weighted mean of Kα1 and Kα2). Input: a crystal structure in Alexandria, relaxed with GGA-PBE.
Peak positions follow from Bragg's law for the DFT cell and can differ from measured ones.

Structural model:
Cell lengths 4.6562, 4.6562, 4.6562 Å; angles 90.00, 90.00, 90.00 degrees
Atoms (fractional coordinates):
Ca  0.0000  0.0000  0.0000
Re  0.0000  0.5000  0.5000
Re  0.5000  0.0000  0.5000
Re  0.5000  0.5000  0.0000
Br  0.5000  0.5000  0.5000

Top 10 peaks for 10 to 90 degrees two-theta, sorted by position:
| Position (°2θ) | I_rel | hkl |
| --- | --- | --- |
| 19.1 | 57 | 1 0 0 |
| 33.3 | 100 | 1 1 1 |
| 38.7 | 87 | 2 0 0 |
| 43.5 | 28 | 2 1 0 |
| 55.8 | 60 | 2 2 0 |
| 59.6 | 14 | 3 0 0 |
| 66.6 | 41 | 3 1 1 |
| 70.0 | 20 | 2 2 2 |
| 82.9 | 10 | 4 0 0 |
| 86.1 | 8 | 4 1 0 |
=====

_Worked solution_
Cell lengths 4.6562, 4.6562, 4.6562 Å; angles 90.00, 90.00, 90.00 degrees
Atoms (fractional coordinates):
Ca  0.0000  0.0000  0.0000
Re  0.0000  0.5000  0.5000
Re  0.5000  0.0000  0.5000
Re  0.5000  0.5000  0.0000
Br  0.5000  0.5000  0.5000

Top 10 peaks for 10 to 90 degrees two-theta, sorted by position:
| Position (°2θ) | I_rel | hkl |
| --- | --- | --- |
| 19.1 | 57 | 1 0 0 |
| 33.3 | 100 | 1 1 1 |
| 38.7 | 87 | 2 0 0 |
| 43.5 | 28 | 2 1 0 |
| 55.8 | 60 | 2 2 0 |
| 59.6 | 14 | 3 0 0 |
| 66.6 | 41 | 3 1 1 |
| 70.0 | 20 | 2 2 2 |
| 82.9 | 10 | 4 0 0 |